Input
<<<
(1)
Structure and calculated X-ray diffraction stick pattern of Ho6Cu2Rh (the PBE geometry in Alexandria; Cu Kα (λ = 1.5418 Å)).

Structural model:
a = 8.2531 Å, b = 8.2531 Å, c = 8.2531 Å
α = 110.21°, β = 109.91°, γ = 108.30°
Sites, in units of the cell vectors:
Ho 0.0689 0.2442 0.8247
Ho 0.2037 0.5302 0.3264
Ho 0.2037 0.8773 0.6736
Ho 0.3149 0.2381 0.5531
Ho 0.3149 0.7619 0.0768
Ho 0.4196 0.2442 0.1753
Ho 0.5804 0.7558 0.8247
Ho 0.6851 0.2381 0.9232
Ho 0.6851 0.7619 0.4469
Ho 0.7963 0.1227 0.3264
Ho 0.7963 0.4698 0.6736
Ho 0.9311 0.7558 0.1753
Cu 0.0000 0.1222 0.1222
Cu 0.0000 0.8778 0.8778
Cu 0.1480 0.5000 0.6480
Cu 0.8520 0.5000 0.3520
Rh 0.5000 0.0000 0.5000
Rh 0.5000 0.5000 0.0000

Top 10 peaks for 10° ≤ 2θ ≤ 90°, in order of rising 2θ:
| Position (°2θ) | I/Imax |
| --- | --- |
| 26.38 | 22 |
| 29.27 | 23 |
| 29.79 | 26 |
| 29.91 | 24 |
| 32.55 | 94 |
| 35.27 | 100 |
| 35.43 | 52 |
| 37.20 | 40 |
| 59.37 | 24 |
| 60.21 | 15 |



(2)
Structure and calculated X-ray diffraction stick pattern of Ho6CuRu2 (the PBE geometry in Alexandria; Cu Kα (λ = 1.5418 Å)).

Structural model:
a = 8.3221 Å, b = 8.3221 Å, c = 8.3221 Å
α = 112.09°, β = 112.01°, γ = 104.43°
Sites, in units of the cell vectors:
Ho 0.0150 0.8301 0.1849
Ho 0.2461 0.5538 0.3077
Ho 0.2461 0.9384 0.6923
Ho 0.2755 0.3217 0.5973
Ho 0.2755 0.6783 0.9538
Ho 0.3548 0.1699 0.1849
Ho 0.6452 0.8301 0.8151
Ho 0.7245 0.3217 0.0462
Ho 0.7245 0.6783 0.4027
Ho 0.7539 0.0616 0.3077
Ho 0.7539 0.4462 0.6923
Ho 0.9850 0.1699 0.8151
Cu 0.0000 0.5000 0.5000
Cu 0.5000 0.0000 0.5000
Ru 0.0000 0.1838 0.1838
Ru 0.0000 0.8162 0.8162
Ru 0.3731 0.3731 0.0000
Ru 0.6269 0.6269 0.0000

Top 10 peaks for 10° ≤ 2θ ≤ 90°, in order of rising 2θ:
| Position (°2θ) | I/Imax |
| --- | --- |
| 25.92 | 33 |
| 30.39 | 42 |
| 32.40 | 84 |
| 34.06 | 57 |
| 35.23 | 99 |
| 35.91 | 100 |
| 38.71 | 39 |
| 39.32 | 31 |
| 40.35 | 38 |
| 60.84 | 39 |



(3)
Structure and calculated X-ray diffraction stick pattern of Ho2Cu2Ru (the PBE geometry in Alexandria; Cu Kα (λ = 1.5418 Å)).

Structural model:
a = 7.3177 Å, b = 7.3177 Å, c = 7.3177 Å
α = 131.69°, β = 70.39°, γ = 132.11°
Sites, in units of the cell vectors:
Ho 0.1439 0.2245 0.3684
Ho 0.3561 0.7245 0.0806
Ho 0.6439 0.2755 0.9194
Ho 0.8561 0.7755 0.6316
Cu 0.1187 0.7461 0.8648
Cu 0.3813 0.2461 0.6274
Cu 0.6187 0.7539 0.3726
Cu 0.8813 0.2539 0.1352
Ru 0.2500 0.7500 0.5000
Ru 0.7500 0.2500 0.5000

Top 10 peaks for 10° ≤ 2θ ≤ 90°, in order of rising 2θ:
| Position (°2θ) | I/Imax |
| --- | --- |
| 25.85 | 39 |
| 26.86 | 13 |
| 29.86 | 51 |
| 30.09 | 29 |
| 36.85 | 15 |
| 42.74 | 46 |
| 42.90 | 100 |
| 53.15 | 17 |
| 78.37 | 22 |
| 78.73 | 15 |



(4)
Structure and calculated X-ray diffraction stick pattern of Ho8CuRu2 (the PBE geometry in Alexandria; Cu Kα (λ = 1.5418 Å)).

Structural model:
a = 7.5239 Å, b = 7.5239 Å, c = 5.8307 Å
α = 99.82°, β = 99.82°, γ = 111.95°
Sites, in units of the cell vectors:
Ho 0.0000 0.0000 0.0000
Ho 0.0322 0.2961 0.5900
Ho 0.1453 0.5890 0.1948
Ho 0.2961 0.0322 0.5900
Ho 0.4462 0.7106 0.7896
Ho 0.5890 0.1453 0.1948
Ho 0.7106 0.4462 0.7896
Ho 0.7364 0.7364 0.3866
Cu 0.3671 0.3671 0.3498
Ru 0.0612 0.6831 0.6911
Ru 0.6831 0.0612 0.6911

Top 10 peaks for 10° ≤ 2θ ≤ 90°, in order of rising 2θ:
| Position (°2θ) | I/Imax |
| --- | --- |
| 27.19 | 40 |
| 30.91 | 88 |
| 31.24 | 81 |
| 31.54 | 66 |
| 32.95 | 96 |
| 33.24 | 100 |
| 35.39 | 54 |
| 36.25 | 43 |
| 36.51 | 63 |
| 39.81 | 57 |



(5)
Structure and calculated X-ray diffraction stick pattern of Ho3CuS6 (the PBE geometry in Alexandria; Cu Kα (λ = 1.5418 Å)).

Structural model:
a = 8.2396 Å, b = 8.2396 Å, c = 6.5770 Å
α = 90.00°, β = 90.00°, γ = 99.09°
Sites, in units of the cell vectors:
Ho 0.1037 0.8963 0.5000
Ho 0.2181 0.4168 0.5893
Ho 0.4168 0.2181 0.0893
Ho 0.5832 0.7819 0.5893
Ho 0.7819 0.5832 0.0893
Ho 0.8963 0.1037 0.0000
Cu 0.2973 0.7027 0.1322
Cu 0.7027 0.2973 0.6322
S 0.0686 0.5933 0.3037
S 0.1290 0.1922 0.2959
S 0.1922 0.1290 0.7959
S 0.2853 0.7147 0.7855
S 0.4067 0.9314 0.3037
>>>
Assignment
Please set down only the lines earlier on with the word "diffraction" in them.
Solution
Structure and calculated X-ray diffraction stick pattern of Ho6Cu2Rh (the PBE geometry in Alexandria; Cu Kα (λ = 1.5418 Å)).
Structure and calculated X-ray diffraction stick pattern of Ho6CuRu2 (the PBE geometry in Alexandria; Cu Kα (λ = 1.5418 Å)).
Structure and calculated X-ray diffraction stick pattern of Ho2Cu2Ru (the PBE geometry in Alexandria; Cu Kα (λ = 1.5418 Å)).
Structure and calculated X-ray diffraction stick pattern of Ho8CuRu2 (the PBE geometry in Alexandria; Cu Kα (λ = 1.5418 Å)).
Structure and calculated X-ray diffraction stick pattern of Ho3CuS6 (the PBE geometry in Alexandria; Cu Kα (λ = 1.5418 Å)).